Job >
Set down the whole of the listing underneath unchanged, please.

Entries >
********
The following is a DFT calculation (ωB97M-V/def2-TZVPD) of C11H13N in the gas phase.

The geometry in ORCA input format:
```
! RIJCOSX wB97M-V def2-TZVPD def2/J DEFGRID3
* xyz 0 1
C 0.8689 0.4731 -3.3816
C 1.6731 0.8100 -2.3440
C -0.2978 -0.1415 -2.9741
C 1.2473 0.9035 -1.0360
C -0.7550 -0.2321 -1.6677
C -0.0271 0.4835 -0.7400
C 0.2290 -2.6409 2.0251
C 0.7649 -1.3489 1.5405
C -0.1668 -0.1225 1.6828
C -0.4580 0.6996 0.6341
C -1.3237 1.8932 0.9443
N -0.8082 -2.8907 2.6567
H 1.0891 0.5967 -4.3872
H 2.6673 1.1459 -2.5124
H -0.9471 -0.5917 -3.7363
H 1.8912 1.4091 -0.3282
H -1.6979 -0.7815 -1.4506
H 0.9695 -3.4211 1.7503
H 1.7029 -1.2539 2.1711
H 0.7957 -1.3752 0.4347
H -1.3052 -1.8977 2.8051
H -0.6142 0.1511 2.6813
H -2.4013 1.8040 0.6808
H -0.9306 2.7829 0.4888
H -1.3620 2.0927 1.9854
*
```

## Properties
- LUMO: 0.8 eV
- Energy above the lowest of the compared OMol25 structures with the same formula, charge and spin: 220.0 kJ/mol
- Gap between HOMO and LUMO: 10.11 eV
- HOMO: -9.3 eV
- E_tot: -481.6316 Eh
********

Outcome >
The following is a DFT calculation (ωB97M-V/def2-TZVPD) of C11H13N in the gas phase.

The geometry in ORCA input format:
```
! RIJCOSX wB97M-V def2-TZVPD def2/J DEFGRID3
* xyz 0 1
C 0.8689 0.4731 -3.3816
C 1.6731 0.8100 -2.3440
C -0.2978 -0.1415 -2.9741
C 1.2473 0.9035 -1.0360
C -0.7550 -0.2321 -1.6677
C -0.0271 0.4835 -0.7400
C 0.2290 -2.6409 2.0251
C 0.7649 -1.3489 1.5405
C -0.1668 -0.1225 1.6828
C -0.4580 0.6996 0.6341
C -1.3237 1.8932 0.9443
N -0.8082 -2.8907 2.6567
H 1.0891 0.5967 -4.3872
H 2.6673 1.1459 -2.5124
H -0.9471 -0.5917 -3.7363
H 1.8912 1.4091 -0.3282
H -1.6979 -0.7815 -1.4506
H 0.9695 -3.4211 1.7503
H 1.7029 -1.2539 2.1711
H 0.7957 -1.3752 0.4347
H -1.3052 -1.8977 2.8051
H -0.6142 0.1511 2.6813
H -2.4013 1.8040 0.6808
H -0.9306 2.7829 0.4888
H -1.3620 2.0927 1.9854
*
```

## Properties
- LUMO: 0.8 eV
- Energy above the lowest of the compared OMol25 structures with the same formula, charge and spin: 220.0 kJ/mol
- Gap between HOMO and LUMO: 10.11 eV
- HOMO: -9.3 eV
- E_tot: -481.6316 Eh